_Work order_
Now type out the whole of the calculation results underneath without additions.

_Excerpt_
<<<
Record 1
17
Properties=species:S:1:pos:R:3:nbo_charge:R:1 method="wB97M-V/def2-TZVPD" smiles="N[C@@H](CO)C(=O)O.O" total_charge=0 spin_multiplicity=1 de_lowest_ev=0.840 lumo_energy_ev=0.58 homo_energy_ev=-9.14
N -1.05853 -0.75109 -0.65605 -0.829
C -0.87296 -0.08362 0.61623 -0.165
C 0.62103 -0.06677 1.05675 -0.081
O 0.80417 -1.07765 2.02658 -0.749
C -1.44551 1.37623 0.41400 0.796
O -2.57132 1.73874 0.26930 -0.579
O -0.42303 2.29098 0.36043 -0.721
H -0.25623 -0.78821 -1.26951 0.385
H -1.24961 -1.70945 -0.40968 0.361
H -1.52016 -0.47824 1.40039 0.226
H 0.97494 0.91263 1.34607 0.195
H 1.25590 -0.34109 0.20047 0.182
H 0.96657 -0.85710 2.93450 0.482
H -0.78186 3.16554 0.20733 0.492
O 1.70930 -0.96813 -2.55454 -0.967
H 2.27145 -1.74870 -2.51417 0.487
H 1.57585 -0.61406 -3.42809 0.486


Record 2
15
Properties=species:S:1:pos:R:3:nbo_charge:R:1 method="wB97M-V/def2-TZVPD" smiles=N[C@@H](CO)CS total_charge=0 spin_multiplicity=1 de_lowest_ev=2.284 lumo_energy_ev=0.71 homo_energy_ev=-8.95
N -1.00773 1.61601 1.12648 -0.820
C -0.48734 0.37120 0.53043 -0.111
C -0.96708 0.06819 -0.83628 -0.120
O -2.19061 -0.65855 -0.74502 -0.705
C 1.04569 0.48244 0.66992 -0.500
S 1.78647 -0.93801 -0.21658 -0.103
H -1.10539 2.13676 0.26310 0.353
H -1.81189 1.61259 1.61788 0.368
H -0.65350 -0.61492 1.07316 0.205
H -1.04547 0.94449 -1.48899 0.167
H -0.31743 -0.45259 -1.60315 0.195
H -1.74017 -1.50163 -0.86597 0.469
H 1.57218 1.27039 0.10927 0.221
H 1.38118 0.59073 1.71963 0.247
H 2.16834 -0.55231 -1.46928 0.133


Record 3
15
Properties=species:S:1:pos:R:3:nbo_charge:R:1 method="wB97M-V/def2-TZVPD" smiles="CC(C)=S(=N)=O.[H][H]" total_charge=0 spin_multiplicity=1 de_lowest_ev=6.081 lumo_energy_ev="-1.01 / -1.32" homo_energy_ev="-8.67 / -8.97"
C 1.12530 1.05320 0.75725 -0.727
C 0.20026 0.05451 0.01607 -0.035
C 0.65868 -0.06241 -1.41194 -0.710
S -1.69540 0.43740 0.17113 1.540
N -2.23351 -0.50224 -1.00563 -0.960
O -2.31031 0.47173 1.51477 -0.880
H 1.56805 1.00864 1.72789 0.246
H 2.08301 1.14059 0.10256 0.214
H 0.79703 2.13599 0.70065 0.242
H 1.54047 -0.61062 -1.41275 0.238
H 0.88782 0.90376 -1.82352 0.222
H 0.12999 -0.66278 -2.09588 0.250
H -3.18636 -0.65452 -0.83355 0.359
H 0.28497 -2.02190 1.68403 -0.006
H 0.14999 -2.69135 1.90892 0.007


Record 4
15
Properties=species:S:1:pos:R:3:nbo_charge:R:1 method="wB97M-V/def2-TZVPD" total_charge=0 spin_multiplicity=1 de_lowest_ev=3.959 lumo_energy_ev=-0.26 homo_energy_ev=-10.28
C 3.10045 1.33544 2.49069 -0.376
C -2.67683 -0.16518 -0.06226 -0.476
C 2.09728 0.56343 2.09546 -0.420
N -1.40652 0.48928 0.01193 -0.767
O -0.02289 -1.34028 -0.96487 -0.897
S -0.07999 0.04035 -0.48285 1.478
H -1.21679 -2.07711 -6.35580 0.002
H 4.17168 1.05247 2.39429 0.197
H 3.07625 2.22119 3.24641 0.193
H -3.50300 0.47144 -0.59006 0.232
H -3.10466 -0.22411 0.94479 0.221
H -2.60737 -1.25651 -0.34856 0.215
H 2.42218 -0.33705 1.57758 0.193
H 1.07294 0.52874 2.44129 0.206
H -1.32272 -1.30210 -6.39803 -0.002


Record 5
16
Properties=species:S:1:pos:R:3:lowdin_spin:R:1 method="wB97M-V/def2-TZVPD" total_charge=0 spin_multiplicity=3 lumo_energy_ev="-0.02 / -4.05" homo_energy_ev="-4.33 / -7.85"
C 0.13851 -1.52149 -1.14396 0.318
C 0.39583 2.09685 -1.07313 0.299
C -0.57537 -2.09462 -0.18690 0.317
N 0.43964 1.83183 0.10438 0.472
O 0.63751 -0.79910 -1.92203 0.249
Si -2.01487 -1.24111 0.53609 0.063
Si 1.66735 1.07982 1.02983 0.062
H 1.30290 1.91840 -1.70821 0.065
H -0.50389 2.50398 -1.59007 0.053
H -0.23677 -3.15681 -0.14787 0.038
H -2.78443 -2.34697 0.96926 0.008
H -2.87004 -0.47067 -0.41755 0.007
H -1.58783 -0.30408 1.57334 0.018
H 1.05017 -0.03996 1.81158 0.011
H 2.22229 2.05240 1.94970 0.004
H 2.71900 0.49152 0.21557 0.017


Record 6
14
Properties=species:S:1:pos:R:3:nbo_charge:R:1 method="wB97M-V/def2-TZVPD" total_charge=+1 spin_multiplicity=1 de_lowest_ev=2.011 lumo_energy_ev=-4.86 homo_energy_ev=-14.02
C 1.14709 -1.10482 -1.16591 -0.235
C -0.16844 -0.84613 -1.78621 -0.240
C -0.61515 1.50669 2.53427 -0.717
N 0.40380 0.09389 -0.85114 -0.608
>>>

_Reply_
Record 1
17
Properties=species:S:1:pos:R:3:nbo_charge:R:1 method="wB97M-V/def2-TZVPD" smiles="N[C@@H](CO)C(=O)O.O" total_charge=0 spin_multiplicity=1 de_lowest_ev=0.840 lumo_energy_ev=0.58 homo_energy_ev=-9.14
N -1.05853 -0.75109 -0.65605 -0.829
C -0.87296 -0.08362 0.61623 -0.165
C 0.62103 -0.06677 1.05675 -0.081
O 0.80417 -1.07765 2.02658 -0.749
C -1.44551 1.37623 0.41400 0.796
O -2.57132 1.73874 0.26930 -0.579
O -0.42303 2.29098 0.36043 -0.721
H -0.25623 -0.78821 -1.26951 0.385
H -1.24961 -1.70945 -0.40968 0.361
H -1.52016 -0.47824 1.40039 0.226
H 0.97494 0.91263 1.34607 0.195
H 1.25590 -0.34109 0.20047 0.182
H 0.96657 -0.85710 2.93450 0.482
H -0.78186 3.16554 0.20733 0.492
O 1.70930 -0.96813 -2.55454 -0.967
H 2.27145 -1.74870 -2.51417 0.487
H 1.57585 -0.61406 -3.42809 0.486


Record 2
15
Properties=species:S:1:pos:R:3:nbo_charge:R:1 method="wB97M-V/def2-TZVPD" smiles=N[C@@H](CO)CS total_charge=0 spin_multiplicity=1 de_lowest_ev=2.284 lumo_energy_ev=0.71 homo_energy_ev=-8.95
N -1.00773 1.61601 1.12648 -0.820
C -0.48734 0.37120 0.53043 -0.111
C -0.96708 0.06819 -0.83628 -0.120
O -2.19061 -0.65855 -0.74502 -0.705
C 1.04569 0.48244 0.66992 -0.500
S 1.78647 -0.93801 -0.21658 -0.103
H -1.10539 2.13676 0.26310 0.353
H -1.81189 1.61259 1.61788 0.368
H -0.65350 -0.61492 1.07316 0.205
H -1.04547 0.94449 -1.48899 0.167
H -0.31743 -0.45259 -1.60315 0.195
H -1.74017 -1.50163 -0.86597 0.469
H 1.57218 1.27039 0.10927 0.221
H 1.38118 0.59073 1.71963 0.247
H 2.16834 -0.55231 -1.46928 0.133


Record 3
15
Properties=species:S:1:pos:R:3:nbo_charge:R:1 method="wB97M-V/def2-TZVPD" smiles="CC(C)=S(=N)=O.[H][H]" total_charge=0 spin_multiplicity=1 de_lowest_ev=6.081 lumo_energy_ev="-1.01 / -1.32" homo_energy_ev="-8.67 / -8.97"
C 1.12530 1.05320 0.75725 -0.727
C 0.20026 0.05451 0.01607 -0.035
C 0.65868 -0.06241 -1.41194 -0.710
S -1.69540 0.43740 0.17113 1.540
N -2.23351 -0.50224 -1.00563 -0.960
O -2.31031 0.47173 1.51477 -0.880
H 1.56805 1.00864 1.72789 0.246
H 2.08301 1.14059 0.10256 0.214
H 0.79703 2.13599 0.70065 0.242
H 1.54047 -0.61062 -1.41275 0.238
H 0.88782 0.90376 -1.82352 0.222
H 0.12999 -0.66278 -2.09588 0.250
H -3.18636 -0.65452 -0.83355 0.359
H 0.28497 -2.02190 1.68403 -0.006
H 0.14999 -2.69135 1.90892 0.007


Record 4
15
Properties=species:S:1:pos:R:3:nbo_charge:R:1 method="wB97M-V/def2-TZVPD" total_charge=0 spin_multiplicity=1 de_lowest_ev=3.959 lumo_energy_ev=-0.26 homo_energy_ev=-10.28
C 3.10045 1.33544 2.49069 -0.376
C -2.67683 -0.16518 -0.06226 -0.476
C 2.09728 0.56343 2.09546 -0.420
N -1.40652 0.48928 0.01193 -0.767
O -0.02289 -1.34028 -0.96487 -0.897
S -0.07999 0.04035 -0.48285 1.478
H -1.21679 -2.07711 -6.35580 0.002
H 4.17168 1.05247 2.39429 0.197
H 3.07625 2.22119 3.24641 0.193
H -3.50300 0.47144 -0.59006 0.232
H -3.10466 -0.22411 0.94479 0.221
H -2.60737 -1.25651 -0.34856 0.215
H 2.42218 -0.33705 1.57758 0.193
H 1.07294 0.52874 2.44129 0.206
H -1.32272 -1.30210 -6.39803 -0.002


Record 5
16
Properties=species:S:1:pos:R:3:lowdin_spin:R:1 method="wB97M-V/def2-TZVPD" total_charge=0 spin_multiplicity=3 lumo_energy_ev="-0.02 / -4.05" homo_energy_ev="-4.33 / -7.85"
C 0.13851 -1.52149 -1.14396 0.318
C 0.39583 2.09685 -1.07313 0.299
C -0.57537 -2.09462 -0.18690 0.317
N 0.43964 1.83183 0.10438 0.472
O 0.63751 -0.79910 -1.92203 0.249
Si -2.01487 -1.24111 0.53609 0.063
Si 1.66735 1.07982 1.02983 0.062
H 1.30290 1.91840 -1.70821 0.065
H -0.50389 2.50398 -1.59007 0.053
H -0.23677 -3.15681 -0.14787 0.038
H -2.78443 -2.34697 0.96926 0.008
H -2.87004 -0.47067 -0.41755 0.007
H -1.58783 -0.30408 1.57334 0.018
H 1.05017 -0.03996 1.81158 0.011
H 2.22229 2.05240 1.94970 0.004
H 2.71900 0.49152 0.21557 0.017


Record 6
14
Properties=species:S:1:pos:R:3:nbo_charge:R:1 method="wB97M-V/def2-TZVPD" total_charge=+1 spin_multiplicity=1 de_lowest_ev=2.011 lumo_energy_ev=-4.86 homo_energy_ev=-14.02
C 1.14709 -1.10482 -1.16591 -0.235
C -0.16844 -0.84613 -1.78621 -0.240
C -0.61515 1.50669 2.53427 -0.717
N 0.40380 0.09389 -0.85114 -0.608